Exercise:
Could you count the lines below that contain the word "Tm" and give the number alone?

Source:
┌──
# 1
InH12C4Se2I3 GGA-PBE relaxed; E (MP2020) = -391.1 eV per cell
1.0
8.538 0.000 0.000
0.000 8.770 0.000
-0.043 0.000 25.579
In H C Se I
4 48 16 8 12
direct
0.170 0.144 0.377
0.170 0.356 0.877
0.830 0.644 0.123
0.830 0.856 0.623
0.032 0.725 0.761
0.032 0.775 0.261
0.158 0.668 0.218
0.158 0.832 0.718
0.161 0.716 0.966
0.161 0.784 0.466
0.178 0.547 0.590
0.178 0.953 0.090
0.221 0.651 0.745
0.221 0.849 0.245
0.250 0.577 0.008
0.250 0.923 0.508
0.272 0.703 0.623
0.272 0.797 0.123
0.278 0.727 0.358
0.278 0.773 0.858
0.295 0.511 0.647
0.295 0.989 0.147
0.341 0.740 0.500
0.341 0.760 0.000
0.422 0.637 0.399
0.422 0.863 0.899
0.484 0.740 0.846
0.484 0.760 0.346
0.516 0.240 0.654
0.516 0.260 0.154
0.578 0.137 0.101
0.578 0.363 0.601
0.659 0.240 0.000
0.659 0.260 0.500
0.705 0.011 0.853
0.705 0.489 0.353
0.722 0.227 0.142
0.722 0.273 0.642
0.728 0.203 0.877
0.728 0.297 0.377
0.750 0.077 0.492
0.750 0.423 0.992
0.779 0.151 0.755
0.779 0.349 0.255
0.822 0.047 0.910
0.822 0.453 0.410
0.839 0.216 0.534
0.839 0.284 0.034
0.842 0.168 0.282
0.842 0.332 0.782
0.968 0.225 0.739
0.968 0.275 0.239
0.121 0.718 0.730
0.121 0.782 0.230
0.216 0.592 0.628
0.216 0.908 0.128
0.272 0.671 0.981
0.272 0.829 0.481
0.394 0.740 0.376
0.394 0.760 0.876
0.606 0.240 0.124
0.606 0.260 0.624
0.728 0.171 0.519
0.728 0.329 0.019
0.784 0.092 0.872
0.784 0.408 0.372
0.879 0.218 0.770
0.879 0.282 0.270
0.027 0.610 0.671
0.027 0.890 0.171
0.395 0.584 0.923
0.395 0.916 0.423
0.605 0.084 0.577
0.605 0.416 0.077
0.973 0.110 0.829
0.973 0.390 0.329
0.072 0.062 0.624
0.072 0.438 0.124
0.223 0.175 0.964
0.223 0.325 0.464
0.370 0.178 0.293
0.370 0.322 0.793
0.630 0.678 0.207
0.630 0.822 0.707
0.777 0.675 0.536
0.777 0.825 0.036
0.928 0.562 0.876
0.928 0.938 0.376

# 2
Sr2GdS3 GGA-PBE relaxed; E (MP2020) = -42.9 eV per cell
1.0
4.101 0.000 0.000
0.000 4.101 0.000
0.000 0.000 14.055
Sr Gd S
2 1 3
direct
0.000 0.000 0.205
0.000 0.000 0.795
0.500 0.500 0.000
0.000 0.000 0.000
0.500 0.500 0.208
0.500 0.500 0.792

# 3
CuO GGA-PBE relaxed; E (MP2020) = -30.8 eV per cell
1.0
3.941 0.000 0.000
0.000 3.941 0.000
0.000 0.000 3.941
Cu O
3 3
direct
0.000 0.000 0.500
0.000 0.500 0.000
0.500 0.000 0.000
0.000 0.500 0.500
0.500 0.000 0.500
0.500 0.500 0.000

# 4
Entry from the Materials Project database: an optimized crystal structure of Eu3Tm (GGA-PBE).

```
Eu3Tm
1.0
7.650 0.000 0.000
-3.825 6.626 0.000
0.000 0.000 6.115
Eu Tm
6 2
direct
0.170 0.340 0.250
0.170 0.830 0.250
0.340 0.170 0.750
0.660 0.830 0.250
0.830 0.170 0.750
0.830 0.660 0.750
0.333 0.667 0.750
0.667 0.333 0.250
```

no.,E_form (eV per atom),final energy (eV per atom),calculated density (g cm⁻³)
1,-0.27,-4.393,2.47
2,-2.18,-6.905,3.01
3,-0.61,-4.787,6.47
4,0.08,-8.728,6.70


Entry 1:
Compound: Mg14CrC
Source: the Materials Project
Functional: PBE
Structure: optimized geometry

* size of the total moment: 4.514 μB/f.u.
* formation enthalpy at 0 K: 343 meV per atom
* space group: P-6m2

Unit cell a=6.248 b=6.248 c=9.793 alpha=90.00 beta=90.00 gamma=120.00
Atoms (fractional coordinates):
Mg 0.000 0.000 0.246
Mg 0.000 0.000 0.754
Mg 0.016 0.508 0.260
Mg 0.016 0.508 0.740
Mg 0.328 0.164 0.500
Mg 0.339 0.169 0.000
Mg 0.492 0.508 0.260
Mg 0.492 0.508 0.740
Mg 0.492 0.984 0.260
Mg 0.492 0.984 0.740
Mg 0.831 0.169 0.000
Mg 0.831 0.661 0.000
Mg 0.836 0.164 0.500
Mg 0.836 0.672 0.500
Cr 0.333 0.667 0.000
C 0.333 0.667 0.500



Entry 2:
Compound: Na3Y4P3S3O24
Source: the Materials Project
Functional: PBE
Structure: optimized geometry

* size of the total moment: 0.000 μB/f.u.
* formation enthalpy at 0 K: -2889 meV per atom
* space group: P1

Unit cell a=9.161 b=9.208 c=24.360 alpha=90.29 beta=90.03 gamma=119.81
Atoms (fractional coordinates):
Na 0.000 0.000 0.000
Na 0.002 0.022 0.500
Na 0.324 0.656 0.167
Na 0.332 0.656 0.666
Na 0.353 0.999 0.250
Na 0.647 0.000 0.750
Na 0.667 0.334 0.333
Na 0.676 0.345 0.833
Na 0.980 0.667 0.414
Y 0.009 0.013 0.350
Y 0.010 0.001 0.149
Y 0.324 0.654 0.317
Y 0.332 0.660 0.817
Y 0.337 0.673 0.517
└──

Solution:
1